_Activity_
Restate the whole of the entries further down exactly, please.

_Contents_
********
Structure and calculated XRD peak list of Ba2LiTm2N3 (a DFT-relaxed cell (GGA-PBE, OQMD); Cu Kα (λ = 1.5418 Å)).
No peak broadening, texture or thermal motion is included.

Largest 8 diffraction maxima, by angle, 10° ≤ 2θ ≤ 90°:
h k l	d/Å	I (rel.)
1 1 1	4.399	69
1 3 0	3.899	65
1 3 -1	3.492	81
0 0 2	3.262	72
1 3 1	3.218	69
2 2 1	2.867	72
3 1 -1	2.627	100
0 4 3	1.822	67

Cell and atoms:
a b c (Å): 8.2410 13.3524 6.6477
angles (deg): 90.00 101.07 90.00
Space group C2/c (No. 15)
One atom of each set of equivalent atoms:
1 Ba 0.2292 0.0650 0.4168 x8
2 Li 0.0000 0.1491 0.7500 x4
3 Tm 0.1089 0.3087 0.0470 x8
4 N 0.0000 0.4072 0.2500 x4
5 N 0.1517 0.1394 0.0117 x8


Structure and calculated XRD peak list of Nd3Mg3AgHg2 (a DFT-relaxed cell (GGA-PBE, OQMD); Cu Kα (λ = 1.5418 Å)).
No peak broadening, texture or thermal motion is included.

Largest 8 diffraction maxima, by angle, 10° ≤ 2θ ≤ 90°:
h k l	d/Å	I (rel.)
0 1 1	6.894	28
0 0 2	3.980	53
1 3 1	2.915	100
1 4 0	2.684	94
0 3 3	2.298	42
1 4 2	2.226	33
2 3 3	1.566	26
1 7 3	1.484	26

Cell and atoms:
a b c (Å): 4.2795 13.7929 7.9577
angles (deg): 90.00 90.00 90.00
Space group Amm2 (No. 38)
One atom of each set of equivalent atoms:
1 Nd 0.0000 0.0000 0.0000 x2
2 Nd 0.0000 0.2049 0.6145 x4
3 Mg 0.5000 0.0000 0.6503 x2
4 Mg 0.5000 0.1200 0.2891 x4
5 Ag 0.0000 0.0000 0.4088 x2
6 Hg 0.5000 0.1658 0.9102 x4


Structure and calculated XRD peak list of TlFeBr3 (a DFT-relaxed cell (GGA-PBE, OQMD); Cu Kα (λ = 1.5418 Å)).
No peak broadening, texture or thermal motion is included.

Largest 8 diffraction maxima, by angle, 10° ≤ 2θ ≤ 90°:
h k l	d/Å	I (rel.)
0 2 1	4.439	22
6 0 0	3.703	21
0 0 2	3.075	19
6 2 1	2.843	100
0 4 2	2.219	23
12 0 0	1.851	25
6 2 3	1.727	17
12 4 1	1.551	16

Cell and atoms:
a b c (Å): 22.2336 12.8169 6.1496
angles (deg): 90.00 90.00 90.00
Space group Cmc2_1 (No. 36)
One atom of each set of equivalent atoms:
1 Tl 0.0000 0.1629 0.9996 x4
2 Tl 0.1682 0.3316 0.5000 x8
3 Fe 0.0000 0.4997 0.3153 x4
4 Fe 0.1666 0.0000 0.2383 x8
5 Br 0.0000 0.3347 0.5699 x4
6 Br 0.0825 0.4177 0.0694 x8
7 Br 0.0841 0.0829 0.4867 x8
8 Br 0.1665 0.1651 0.9856 x8
9 Br 0.2494 0.0825 0.4851 x8

----------

Record 1
Structure and computed powder diffractogram of LaTi6O12 (a cell relaxed with PBE; a wavelength of 1.5418 Å).

```
LaTi6O12
1.0
6.707 0.000 0.000
3.201 6.546 0.000
1.434 -0.368 9.653
La Ti O
2 12 24
direct
0.246 0.059 0.440
0.754 0.941 0.560
0.070 0.426 0.151
0.121 0.900 0.758
0.226 0.608 0.329
0.290 0.471 0.623
0.354 0.061 0.886
0.431 0.406 0.922
0.569 0.594 0.078
0.646 0.939 0.114
0.710 0.529 0.377
0.774 0.392 0.671
0.879 0.100 0.242
0.930 0.574 0.849
0.037 0.902 0.360
0.059 0.401 0.667
0.069 0.062 0.900
0.161 0.346 0.944
0.167 0.167 0.219
0.196 0.729 0.557
0.232 0.622 0.817
0.317 0.512 0.128
0.342 0.374 0.433
0.385 0.964 0.703
0.430 0.862 0.019
0.462 0.718 0.296
0.538 0.282 0.704
0.570 0.138 0.981
0.615 0.036 0.297
0.658 0.626 0.567
0.683 0.488 0.872
0.768 0.378 0.183
0.804 0.271 0.443
0.833 0.833 0.781
0.839 0.654 0.056
0.931 0.938 0.100
0.941 0.599 0.333
0.963 0.098 0.640
```

Principal peaks in the range 2θ from 10° to 90°, low angle first:
2θ 16.66, d = 5.322 Å, I 33.0; 2θ 25.16, d = 3.540 Å, I 36.6; 2θ 25.42, d = 3.504 Å, I 70.5; 2θ 27.27, d = 3.271 Å, I 93.6; 2θ 28.83, d = 3.097 Å, I 100.0; 2θ 30.02, d = 2.977 Å, I 60.7; 2θ 32.75, d = 2.735 Å, I 54.0; 2θ 33.21, d = 2.697 Å, I 36.0; 2θ 33.89, d = 2.645 Å, I 42.6; 2θ 40.33, d = 2.237 Å, I 57.7; 2θ 41.54, d = 2.174 Å, I 64.8; 2θ 52.70, d = 1.737 Å, I 58.4

Record 2
Structure and computed powder diffractogram of LiLaTi2O6 (a cell relaxed with PBE; a wavelength of 1.5418 Å).

```
LiLaTi2O6
1.0
0.000 3.890 3.890
3.890 0.000 3.890
3.890 3.890 0.000
Li La Ti O
1 1 2 6
direct
0.000 0.000 0.000
0.500 0.500 0.500
0.250 0.250 0.250
0.750 0.750 0.750
0.000 0.000 0.500
0.000 0.500 0.000
0.000 0.500 0.500
0.500 0.000 0.000
0.500 0.000 0.500
0.500 0.500 0.000
```

Principal peaks in the range 2θ from 10° to 90°, low angle first:
********

_Solution_
Structure and calculated XRD peak list of Ba2LiTm2N3 (a DFT-relaxed cell (GGA-PBE, OQMD); Cu Kα (λ = 1.5418 Å)).
No peak broadening, texture or thermal motion is included.

Largest 8 diffraction maxima, by angle, 10° ≤ 2θ ≤ 90°:
h k l	d/Å	I (rel.)
1 1 1	4.399	69
1 3 0	3.899	65
1 3 -1	3.492	81
0 0 2	3.262	72
1 3 1	3.218	69
2 2 1	2.867	72
3 1 -1	2.627	100
0 4 3	1.822	67

Cell and atoms:
a b c (Å): 8.2410 13.3524 6.6477
angles (deg): 90.00 101.07 90.00
Space group C2/c (No. 15)
One atom of each set of equivalent atoms:
1 Ba 0.2292 0.0650 0.4168 x8
2 Li 0.0000 0.1491 0.7500 x4
3 Tm 0.1089 0.3087 0.0470 x8
4 N 0.0000 0.4072 0.2500 x4
5 N 0.1517 0.1394 0.0117 x8


Structure and calculated XRD peak list of Nd3Mg3AgHg2 (a DFT-relaxed cell (GGA-PBE, OQMD); Cu Kα (λ = 1.5418 Å)).
No peak broadening, texture or thermal motion is included.

Largest 8 diffraction maxima, by angle, 10° ≤ 2θ ≤ 90°:
h k l	d/Å	I (rel.)
0 1 1	6.894	28
0 0 2	3.980	53
1 3 1	2.915	100
1 4 0	2.684	94
0 3 3	2.298	42
1 4 2	2.226	33
2 3 3	1.566	26
1 7 3	1.484	26

Cell and atoms:
a b c (Å): 4.2795 13.7929 7.9577
angles (deg): 90.00 90.00 90.00
Space group Amm2 (No. 38)
One atom of each set of equivalent atoms:
1 Nd 0.0000 0.0000 0.0000 x2
2 Nd 0.0000 0.2049 0.6145 x4
3 Mg 0.5000 0.0000 0.6503 x2
4 Mg 0.5000 0.1200 0.2891 x4
5 Ag 0.0000 0.0000 0.4088 x2
6 Hg 0.5000 0.1658 0.9102 x4


Structure and calculated XRD peak list of TlFeBr3 (a DFT-relaxed cell (GGA-PBE, OQMD); Cu Kα (λ = 1.5418 Å)).
No peak broadening, texture or thermal motion is included.

Largest 8 diffraction maxima, by angle, 10° ≤ 2θ ≤ 90°:
h k l	d/Å	I (rel.)
0 2 1	4.439	22
6 0 0	3.703	21
0 0 2	3.075	19
6 2 1	2.843	100
0 4 2	2.219	23
12 0 0	1.851	25
6 2 3	1.727	17
12 4 1	1.551	16

Cell and atoms:
a b c (Å): 22.2336 12.8169 6.1496
angles (deg): 90.00 90.00 90.00
Space group Cmc2_1 (No. 36)
One atom of each set of equivalent atoms:
1 Tl 0.0000 0.1629 0.9996 x4
2 Tl 0.1682 0.3316 0.5000 x8
3 Fe 0.0000 0.4997 0.3153 x4
4 Fe 0.1666 0.0000 0.2383 x8
5 Br 0.0000 0.3347 0.5699 x4
6 Br 0.0825 0.4177 0.0694 x8
7 Br 0.0841 0.0829 0.4867 x8
8 Br 0.1665 0.1651 0.9856 x8
9 Br 0.2494 0.0825 0.4851 x8

----------

Record 1
Structure and computed powder diffractogram of LaTi6O12 (a cell relaxed with PBE; a wavelength of 1.5418 Å).

```
LaTi6O12
1.0
6.707 0.000 0.000
3.201 6.546 0.000
1.434 -0.368 9.653
La Ti O
2 12 24
direct
0.246 0.059 0.440
0.754 0.941 0.560
0.070 0.426 0.151
0.121 0.900 0.758
0.226 0.608 0.329
0.290 0.471 0.623
0.354 0.061 0.886
0.431 0.406 0.922
0.569 0.594 0.078
0.646 0.939 0.114
0.710 0.529 0.377
0.774 0.392 0.671
0.879 0.100 0.242
0.930 0.574 0.849
0.037 0.902 0.360
0.059 0.401 0.667
0.069 0.062 0.900
0.161 0.346 0.944
0.167 0.167 0.219
0.196 0.729 0.557
0.232 0.622 0.817
0.317 0.512 0.128
0.342 0.374 0.433
0.385 0.964 0.703
0.430 0.862 0.019
0.462 0.718 0.296
0.538 0.282 0.704
0.570 0.138 0.981
0.615 0.036 0.297
0.658 0.626 0.567
0.683 0.488 0.872
0.768 0.378 0.183
0.804 0.271 0.443
0.833 0.833 0.781
0.839 0.654 0.056
0.931 0.938 0.100
0.941 0.599 0.333
0.963 0.098 0.640
```

Principal peaks in the range 2θ from 10° to 90°, low angle first:
2θ 16.66, d = 5.322 Å, I 33.0; 2θ 25.16, d = 3.540 Å, I 36.6; 2θ 25.42, d = 3.504 Å, I 70.5; 2θ 27.27, d = 3.271 Å, I 93.6; 2θ 28.83, d = 3.097 Å, I 100.0; 2θ 30.02, d = 2.977 Å, I 60.7; 2θ 32.75, d = 2.735 Å, I 54.0; 2θ 33.21, d = 2.697 Å, I 36.0; 2θ 33.89, d = 2.645 Å, I 42.6; 2θ 40.33, d = 2.237 Å, I 57.7; 2θ 41.54, d = 2.174 Å, I 64.8; 2θ 52.70, d = 1.737 Å, I 58.4

Record 2
Structure and computed powder diffractogram of LiLaTi2O6 (a cell relaxed with PBE; a wavelength of 1.5418 Å).

```
LiLaTi2O6
1.0
0.000 3.890 3.890
3.890 0.000 3.890
3.890 3.890 0.000
Li La Ti O
1 1 2 6
direct
0.000 0.000 0.000
0.500 0.500 0.500
0.250 0.250 0.250
0.750 0.750 0.750
0.000 0.000 0.500
0.000 0.500 0.000
0.000 0.500 0.500
0.500 0.000 0.000
0.500 0.000 0.500
0.500 0.500 0.000
```

Principal peaks in the range 2θ from 10° to 90°, low angle first: